Wanted:
Copy the notes underneath exactly.

Listing:
Below is La12TmPb3 after structural relaxation, with properties calculated at the PBE level.

Computed properties:
- calculated total energy (eV/atom) = -4.947
- D(E_F) (states/eV/f.u.) = 21.076
- E_form (eV/atom) = -0.276

Geometry as POSCAR:
```
La12TmPb3
1.0
5.091 0.000 0.000
0.000 5.091 0.000
0.000 0.000 20.566
La Pb Tm
12 3 1
direct
0.500 0.000 0.129 La
0.000 0.500 0.623 La
0.500 0.500 0.000 La
0.500 0.500 0.500 La
0.500 0.000 0.377 La
0.000 0.500 0.871 La
0.500 0.000 0.871 La
0.000 0.500 0.377 La
0.000 0.500 0.129 La
0.500 0.000 0.623 La
0.500 0.500 0.747 La
0.500 0.500 0.253 La
0.000 0.000 0.746 Pb
0.000 0.000 0.500 Pb
0.000 0.000 0.254 Pb
0.000 0.000 0.000 Tm
```

=====

[1]
DFT (PBE with a Hubbard U) results for a relaxed V2ZnCuF crystal.

abc: 4.871 4.871 4.470
angles: 90.00 90.00 90.00
Fractional positions:
V: 0.000 0.500 0.000
V: 0.500 0.000 0.000
Zn: 0.000 0.000 0.500
Cu: 0.000 0.000 0.000
F: 0.500 0.500 0.500

N(E_F) = 4.7 states/eV/cell
SG = No. 123
DFT total energy = -0.2716 Ry/atom

[2]
DFT (PBE with a Hubbard U) results for a relaxed CuW2F crystal.

abc: 5.529 5.529 5.529
angles: 107.27 107.27 113.98
Fractional positions:
Cu: 0.000 0.000 0.000
Cu: 0.750 0.250 0.500
W: 0.176 0.625 0.051
W: 0.375 0.426 0.551
W: 0.574 0.125 0.949
W: 0.875 0.824 0.449
F: 0.250 0.750 0.500
F: 0.500 0.500 0.000

N(E_F) = 3.6 states/eV/cell
SG = No. 122
DFT total energy = -0.3127 Ry/atom

[3]
DFT (PBE with a Hubbard U) results for a relaxed Cu2WF crystal.

abc: 5.556 5.556 5.556
angles: 99.73 99.73 131.46
Fractional positions:
Cu: 0.092 0.625 0.967
Cu: 0.375 0.342 0.467
Cu: 0.658 0.125 0.033
Cu: 0.875 0.908 0.533
W: 0.250 0.750 0.500
W: 0.500 0.500 0.000
F: 0.000 0.000 0.000
F: 0.750 0.250 0.500

N(E_F) = 1.0 states/eV/cell
SG = No. 122
DFT total energy = -0.3128 Ry/atom

[4]
DFT (PBE with a Hubbard U) results for a relaxed CuWF6 crystal.

abc: 5.173 5.187 5.619
angles: 90.43 116.94 119.54
Fractional positions:
Cu: 0.000 0.000 0.000
W: 0.000 0.500 0.500
F: 0.129 0.740 0.251
F: 0.134 0.878 0.751
F: 0.485 0.610 0.747
F: 0.515 0.390 0.253
F: 0.866 0.122 0.249
F: 0.871 0.260 0.749

N(E_F) = 5.3 states/eV/cell
SG = No. 2
DFT total energy = -0.3722 Ry/atom

[5]
DFT (PBE with a Hubbard U) results for a relaxed Cu2WF crystal.

abc: 4.337 4.337 4.337
angles: 60.00 60.00 60.00
Fractional positions:
Cu: 0.250 0.250 0.250
Cu: 0.750 0.750 0.750
W: 0.000 0.000 0.000
F: 0.500 0.500 0.500

N(E_F) = 2.1 states/eV/cell
SG = No. 225
DFT total energy = -0.2733 Ry/atom

[6]
DFT (PBE with a Hubbard U) results for a relaxed CuW2F crystal.

abc: 4.280 4.280 4.280
angles: 60.00 60.00 60.00
Fractional positions:
Cu: 0.000 0.000 0.000
W: 0.250 0.250 0.250
W: 0.750 0.750 0.750
F: 0.500 0.500 0.500

N(E_F) = 1.9 states/eV/cell
SG = No. 225
DFT total energy = -0.3124 Ry/atom

[7]
DFT (PBE with a Hubbard U) results for a relaxed ZrCuWF2 crystal.

abc: 4.105 4.105 5.507
angles: 90.00 90.00 90.00
Fractional positions:
Zr: 0.000 0.000 0.000
Cu: 0.000 0.000 0.500
W: 0.500 0.500 0.500
F: 0.000 0.500 0.000
F: 0.500 0.000 0.000

N(E_F) = 2.4 states/eV/cell
SG = No. 123
DFT total energy = -0.4121 Ry/atom

=====

[1]
Entry from Alexandria: an optimized crystal structure of La2PrTh6 (PBE).

Unit cell a=3.5664 b=3.5664 c=27.5355 alpha=90.00 beta=90.00 gamma=120.00
Sites, in units of the cell vectors:
La: 0.0000 0.0000 0.1708
La: 0.0000 0.0000 0.8292
Pr: 0.3333 0.6667 0.5000
Th: 0.0000 0.0000 0.3886
Th: 0.0000 0.0000 0.6114
Th: 0.3333 0.6667 0.0598
Th: 0.3333 0.6667 0.2829
Th: 0.3333 0.6667 0.7171
Th: 0.3333 0.6667 0.9402

Computed properties:
**Space group**: P-6m2 (187)
**Calculated formation energy**: 0.1077 eV/atom
**Magnetic moment**: 0.0 μB per cell
**Total energy**: -58.18 eV/cell
**Density of states at the Fermi level**: 14.72 states/eV/f.u.

=====

[2]
Entry from Alexandria: an optimized crystal structure of La7Pr12Th (PBE).

Unit cell a=10.0462 b=10.0462 c=10.0462 alpha=109.47 beta=109.47 gamma=109.47
Sites, in units of the cell vectors:
La: 0.0000 0.0000 0.5000

Done:
Below is La12TmPb3 after structural relaxation, with properties calculated at the PBE level.

Computed properties:
- calculated total energy (eV/atom) = -4.947
- D(E_F) (states/eV/f.u.) = 21.076
- E_form (eV/atom) = -0.276

Geometry as POSCAR:
```
La12TmPb3
1.0
5.091 0.000 0.000
0.000 5.091 0.000
0.000 0.000 20.566
La Pb Tm
12 3 1
direct
0.500 0.000 0.129 La
0.000 0.500 0.623 La
0.500 0.500 0.000 La
0.500 0.500 0.500 La
0.500 0.000 0.377 La
0.000 0.500 0.871 La
0.500 0.000 0.871 La
0.000 0.500 0.377 La
0.000 0.500 0.129 La
0.500 0.000 0.623 La
0.500 0.500 0.747 La
0.500 0.500 0.253 La
0.000 0.000 0.746 Pb
0.000 0.000 0.500 Pb
0.000 0.000 0.254 Pb
0.000 0.000 0.000 Tm
```

=====

[1]
DFT (PBE with a Hubbard U) results for a relaxed V2ZnCuF crystal.

abc: 4.871 4.871 4.470
angles: 90.00 90.00 90.00
Fractional positions:
V: 0.000 0.500 0.000
V: 0.500 0.000 0.000
Zn: 0.000 0.000 0.500
Cu: 0.000 0.000 0.000
F: 0.500 0.500 0.500

N(E_F) = 4.7 states/eV/cell
SG = No. 123
DFT total energy = -0.2716 Ry/atom

[2]
DFT (PBE with a Hubbard U) results for a relaxed CuW2F crystal.

abc: 5.529 5.529 5.529
angles: 107.27 107.27 113.98
Fractional positions:
Cu: 0.000 0.000 0.000
Cu: 0.750 0.250 0.500
W: 0.176 0.625 0.051
W: 0.375 0.426 0.551
W: 0.574 0.125 0.949
W: 0.875 0.824 0.449
F: 0.250 0.750 0.500
F: 0.500 0.500 0.000

N(E_F) = 3.6 states/eV/cell
SG = No. 122
DFT total energy = -0.3127 Ry/atom

[3]
DFT (PBE with a Hubbard U) results for a relaxed Cu2WF crystal.

abc: 5.556 5.556 5.556
angles: 99.73 99.73 131.46
Fractional positions:
Cu: 0.092 0.625 0.967
Cu: 0.375 0.342 0.467
Cu: 0.658 0.125 0.033
Cu: 0.875 0.908 0.533
W: 0.250 0.750 0.500
W: 0.500 0.500 0.000
F: 0.000 0.000 0.000
F: 0.750 0.250 0.500

N(E_F) = 1.0 states/eV/cell
SG = No. 122
DFT total energy = -0.3128 Ry/atom

[4]
DFT (PBE with a Hubbard U) results for a relaxed CuWF6 crystal.

abc: 5.173 5.187 5.619
angles: 90.43 116.94 119.54
Fractional positions:
Cu: 0.000 0.000 0.000
W: 0.000 0.500 0.500
F: 0.129 0.740 0.251
F: 0.134 0.878 0.751
F: 0.485 0.610 0.747
F: 0.515 0.390 0.253
F: 0.866 0.122 0.249
F: 0.871 0.260 0.749

N(E_F) = 5.3 states/eV/cell
SG = No. 2
DFT total energy = -0.3722 Ry/atom

[5]
DFT (PBE with a Hubbard U) results for a relaxed Cu2WF crystal.

abc: 4.337 4.337 4.337
angles: 60.00 60.00 60.00
Fractional positions:
Cu: 0.250 0.250 0.250
Cu: 0.750 0.750 0.750
W: 0.000 0.000 0.000
F: 0.500 0.500 0.500

N(E_F) = 2.1 states/eV/cell
SG = No. 225
DFT total energy = -0.2733 Ry/atom

[6]
DFT (PBE with a Hubbard U) results for a relaxed CuW2F crystal.

abc: 4.280 4.280 4.280
angles: 60.00 60.00 60.00
Fractional positions:
Cu: 0.000 0.000 0.000
W: 0.250 0.250 0.250
W: 0.750 0.750 0.750
F: 0.500 0.500 0.500

N(E_F) = 1.9 states/eV/cell
SG = No. 225
DFT total energy = -0.3124 Ry/atom

[7]
DFT (PBE with a Hubbard U) results for a relaxed ZrCuWF2 crystal.

abc: 4.105 4.105 5.507
angles: 90.00 90.00 90.00
Fractional positions:
Zr: 0.000 0.000 0.000
Cu: 0.000 0.000 0.500
W: 0.500 0.500 0.500
F: 0.000 0.500 0.000
F: 0.500 0.000 0.000

N(E_F) = 2.4 states/eV/cell
SG = No. 123
DFT total energy = -0.4121 Ry/atom

=====

[1]
Entry from Alexandria: an optimized crystal structure of La2PrTh6 (PBE).

Unit cell a=3.5664 b=3.5664 c=27.5355 alpha=90.00 beta=90.00 gamma=120.00
Sites, in units of the cell vectors:
La: 0.0000 0.0000 0.1708
La: 0.0000 0.0000 0.8292
Pr: 0.3333 0.6667 0.5000
Th: 0.0000 0.0000 0.3886
Th: 0.0000 0.0000 0.6114
Th: 0.3333 0.6667 0.0598
Th: 0.3333 0.6667 0.2829
Th: 0.3333 0.6667 0.7171
Th: 0.3333 0.6667 0.9402

Computed properties:
**Space group**: P-6m2 (187)
**Calculated formation energy**: 0.1077 eV/atom
**Magnetic moment**: 0.0 μB per cell
**Total energy**: -58.18 eV/cell
**Density of states at the Fermi level**: 14.72 states/eV/f.u.

=====

[2]
Entry from Alexandria: an optimized crystal structure of La7Pr12Th (PBE).

Unit cell a=10.0462 b=10.0462 c=10.0462 alpha=109.47 beta=109.47 gamma=109.47
Sites, in units of the cell vectors:
La: 0.0000 0.0000 0.5000